**To do**
The reader should give back the lines underneath from the line with "I4mm (No." to the end unchanged.

**Input**
/*
Entry 1:
Density functional theory data (PBE) for a relaxed Cr3GaAu crystal.

Cell lengths 5.027, 5.027, 5.027 Å; angles 90.00, 90.00, 90.00 degrees
Space group Pm-3m (No. 221)
Inequivalent atoms, fractional coordinates:
Cr: 0.000 0.000 0.500
Ga: 0.500 0.500 0.500
Au: 0.000 0.000 0.000

The value obtained for the raw total energy is -0.4223 Ry/atom. The calculation puts the density of states at the Fermi level at 1.568 states/eV/atom.

---

Entry 2:
Density functional theory data (PBE) for a relaxed Mg2SiSb crystal.

Cell lengths 3.2383, 3.2383, 29.4463 Å; angles 90.00, 90.00, 120.00 degrees
Space group R3m (No. 160, hexagonal axes)
Inequivalent atoms, fractional coordinates:
Mg: 0.0000 0.0000 0.0000
Mg: 0.0000 0.0000 0.2432
Si: 0.0000 0.0000 0.5027
Sb: 0.0000 0.0000 0.7587

The value obtained for the raw total energy is -0.2183 Ry/atom. The calculation puts the density of states at the Fermi level at 0.275 states/eV/atom.

---

Entry 3:
Density functional theory data (PBE) for a relaxed CaErTm crystal.

Cell lengths 3.598, 3.598, 15.444 Å; angles 90.00, 90.00, 90.00 degrees
Space group I4mm (No. 107)
Inequivalent atoms, fractional coordinates:
Ca: 0.000 0.000 0.000
Er: 0.000 0.000 0.678
Tm: 0.000 0.000 0.323

The value obtained for the raw total energy is -0.2641 Ry/atom. The calculation puts the density of states at the Fermi level at 1.653 states/eV/atom.

---

Number 1: ΔE to the lowest computed polymorph 0.205 eV/atom, magnetic moment 13.288 μB per cell. Number 2: ΔE to the lowest computed polymorph 0.217 eV/atom, magnetic moment 0.000 μB per cell. Number 3: ΔE to the lowest computed polymorph 0.007 eV/atom, magnetic moment 0.000 μB per cell.

----------

# 1
{
  "formula": "Zr2Si2Bi",
  "functional": "PBEsol",
  "state": "optimized geometry",
  "volume_a3_per_cell": 99.0,
  "final_energy_ev_per_atom": -7.35,
  "spacegroup": "I4/mmm",
  "lattice": [[3.632, 0.000, 0.000], [0.000, 3.632, 0.000], [-1.816, -1.816, 7.510]],
  "species": ["Si", "Si", "Bi", "Zr", "Zr"],
  "frac_coords": [[0.250, 0.750, 0.500], [0.750, 0.250, 0.500], [0.000, 0.000, 0.000], [0.389, 0.389, 0.777], [0.611, 0.611, 0.223]]
}

# 2
{
  "formula": "Sm2Bi",
  "functional": "PBEsol",
  "state": "optimized geometry",
  "volume_a3_per_cell": 177.7,
  "formation_energy_ev_per_fu": -2.097,
  "final_energy_ev_per_atom": -5.52,
  "spacegroup": "I4/mmm",
  "lattice": [[4.493, 0.000, 0.000], [0.000, 4.493, 0.000], [-2.246, -2.246, 8.804]],
  "species": ["Bi", "Bi", "Sm", "Sm", "Sm", "Sm"],
  "frac_coords": [[0.861, 0.861, 0.722], [0.139, 0.139, 0.278], [0.321, 0.321, 0.643], [0.000, 0.500, 0.000], [0.679, 0.679, 0.357], [0.500, 0.000, 0.000]]
}

# 3
{
  "formula": "SmBi3",
  "functional": "PBEsol",
  "state": "optimized geometry",
  "volume_a3_per_cell": 235.9,
  "formation_energy_ev_per_fu": -1.802,
  "final_energy_ev_per_atom": -4.94,
  "spacegroup": "P6_3/mmc",
  "lattice": [[5.927, 0.000, 0.000], [0.000, 6.778, 0.000], [0.000, -3.389, 5.870]],
  "species": ["Bi", "Bi", "Bi", "Bi", "Bi", "Bi", "Sm", "Sm"],
  "frac_coords": [[0.750, 0.828, 0.172], [0.750, 0.828, 0.656], [0.750, 0.344, 0.172], [0.250, 0.172, 0.828], [0.250, 0.172, 0.344], [0.250, 0.656, 0.828], [0.250, 0.667, 0.333], [0.750, 0.333, 0.667]]
}

----------

(1)
This record from the Alexandria database describes an optimized crystal structure of CaIn5Hg12. The functional is PBE-GGA.

Cell and atoms, written as POSCAR:
```
CaIn5Hg12
1.0
2.816 -5.705 0.000
2.816 5.705 0.000
-2.621 0.000 14.900
Ca In Hg
1 5 12
direct
0.000 0.000 0.000
0.000 0.000 0.500
0.306 0.694 0.000
0.323 0.677 0.500
0.677 0.323 0.500
0.694 0.306 0.000
0.043 0.726 0.823
0.050 0.372 0.672
0.274 0.957 0.177
0.316 0.316 0.341
0.372 0.050 0.672
0.398 0.398 0.849
0.602 0.602 0.151
0.628 0.950 0.328
0.684 0.684 0.659
0.726 0.043 0.823
0.950 0.628 0.328
0.957 0.274 0.177
```

Computed properties:
*/

**Result**
Space group I4mm (No. 107)
Inequivalent atoms, fractional coordinates:
Ca: 0.000 0.000 0.000
Er: 0.000 0.000 0.678
Tm: 0.000 0.000 0.323

The value obtained for the raw total energy is -0.2641 Ry/atom. The calculation puts the density of states at the Fermi level at 1.653 states/eV/atom.

---

Number 1: ΔE to the lowest computed polymorph 0.205 eV/atom, magnetic moment 13.288 μB per cell. Number 2: ΔE to the lowest computed polymorph 0.217 eV/atom, magnetic moment 0.000 μB per cell. Number 3: ΔE to the lowest computed polymorph 0.007 eV/atom, magnetic moment 0.000 μB per cell.

----------

# 1
{
  "formula": "Zr2Si2Bi",
  "functional": "PBEsol",
  "state": "optimized geometry",
  "volume_a3_per_cell": 99.0,
  "final_energy_ev_per_atom": -7.35,
  "spacegroup": "I4/mmm",
  "lattice": [[3.632, 0.000, 0.000], [0.000, 3.632, 0.000], [-1.816, -1.816, 7.510]],
  "species": ["Si", "Si", "Bi", "Zr", "Zr"],
  "frac_coords": [[0.250, 0.750, 0.500], [0.750, 0.250, 0.500], [0.000, 0.000, 0.000], [0.389, 0.389, 0.777], [0.611, 0.611, 0.223]]
}

# 2
{
  "formula": "Sm2Bi",
  "functional": "PBEsol",
  "state": "optimized geometry",
  "volume_a3_per_cell": 177.7,
  "formation_energy_ev_per_fu": -2.097,
  "final_energy_ev_per_atom": -5.52,
  "spacegroup": "I4/mmm",
  "lattice": [[4.493, 0.000, 0.000], [0.000, 4.493, 0.000], [-2.246, -2.246, 8.804]],
  "species": ["Bi", "Bi", "Sm", "Sm", "Sm", "Sm"],
  "frac_coords": [[0.861, 0.861, 0.722], [0.139, 0.139, 0.278], [0.321, 0.321, 0.643], [0.000, 0.500, 0.000], [0.679, 0.679, 0.357], [0.500, 0.000, 0.000]]
}

# 3
{
  "formula": "SmBi3",
  "functional": "PBEsol",
  "state": "optimized geometry",
  "volume_a3_per_cell": 235.9,
  "formation_energy_ev_per_fu": -1.802,
  "final_energy_ev_per_atom": -4.94,
  "spacegroup": "P6_3/mmc",
  "lattice": [[5.927, 0.000, 0.000], [0.000, 6.778, 0.000], [0.000, -3.389, 5.870]],
  "species": ["Bi", "Bi", "Bi", "Bi", "Bi", "Bi", "Sm", "Sm"],
  "frac_coords": [[0.750, 0.828, 0.172], [0.750, 0.828, 0.656], [0.750, 0.344, 0.172], [0.250, 0.172, 0.828], [0.250, 0.172, 0.344], [0.250, 0.656, 0.828], [0.250, 0.667, 0.333], [0.750, 0.333, 0.667]]
}

----------

(1)
This record from the Alexandria database describes an optimized crystal structure of CaIn5Hg12. The functional is PBE-GGA.

Cell and atoms, written as POSCAR:
```
CaIn5Hg12
1.0
2.816 -5.705 0.000
2.816 5.705 0.000
-2.621 0.000 14.900
Ca In Hg
1 5 12
direct
0.000 0.000 0.000
0.000 0.000 0.500
0.306 0.694 0.000
0.323 0.677 0.500
0.677 0.323 0.500
0.694 0.306 0.000
0.043 0.726 0.823
0.050 0.372 0.672
0.274 0.957 0.177
0.316 0.316 0.341
0.372 0.050 0.672
0.398 0.398 0.849
0.602 0.602 0.151
0.628 0.950 0.328
0.684 0.684 0.659
0.726 0.043 0.823
0.950 0.628 0.328
0.957 0.274 0.177
```

Computed properties: